Friday, November 19, 2010

Sefi Atta: Writing on the Cusp of Humor and Horror

In the 56th in a series of posts on 2010 short story collections entered for The Story Prize, Sefi Atta, author of News from Home (Interlink Books), discusses writing, reading, and research.

+++
Entry 1:
The following is a calculated X-ray diffraction stick pattern of Ba3InCu2O6. It was derived from a DFT-relaxed cell (PBE, Alexandria), using Cu Kα X-rays.
Lines closer than 0.1° are merged.

Cell: 6.116 6.116 6.865 Å, 90.00 90.00 120.00°
Fractional positions:
Ba: 0.000 0.000 0.000
Ba: 0.333 0.667 0.653
Ba: 0.667 0.333 0.347
In: 0.000 0.000 0.500
Cu: 0.333 0.667 0.215
Cu: 0.667 0.333 0.785
O: 0.164 0.327 0.305
O: 0.164 0.836 0.305
O: 0.327 0.164 0.695
O: 0.673 0.836 0.305
O: 0.836 0.164 0.695
O: 0.836 0.673 0.695

Main lines, in order of rising 2θ (5° ≤ 2θ ≤ 70°):
2θ = 29.20°, d 3.058, intensity 100, hkl 1 1 0; 2θ = 31.04°, d 2.881, intensity 80, hkl 0 1 2; 2θ = 43.13°, d 2.097, intensity 51, hkl 2 0 2; 2θ = 51.78°, d 1.766, intensity 20, hkl 3 0 0; 2θ = 52.94°, d 1.730, intensity 38, hkl 1 2 2; 2θ = 60.55°, d 1.529, intensity 17, hkl 2 2 0

Entry 2:
The following is a calculated X-ray diffraction stick pattern of YAlGeO5. It was derived from a DFT-relaxed cell (PBE, Alexandria), using Cu Kα X-rays.
Lines closer than 0.1° are merged.

Cell: 7.330 8.418 5.674 Å, 90.00 90.00 90.00°
Fractional positions:
Y: 0.143 0.174 0.000
Y: 0.357 0.674 0.000
Y: 0.643 0.326 0.000
Y: 0.857 0.826 0.000
Al: 0.000 0.500 0.250
Al: 0.000 0.500 0.750
Al: 0.500 0.000 0.250
Al: 0.500 0.000 0.750
Ge: 0.120 0.856 0.500
Ge: 0.380 0.356 0.500
Ge: 0.620 0.644 0.500
Ge: 0.880 0.144 0.500
O: 0.000 0.000 0.285
O: 0.000 0.000 0.715
O: 0.106 0.713 0.253
O: 0.106 0.713 0.747
O: 0.153 0.431 0.500
O: 0.161 0.447 0.000
O: 0.339 0.947 0.000
O: 0.347 0.931 0.500
O: 0.394 0.213 0.253
O: 0.394 0.213 0.747
O: 0.500 0.500 0.285
O: 0.500 0.500 0.715
O: 0.606 0.787 0.253
O: 0.606 0.787 0.747
O: 0.653 0.069 0.500
O: 0.661 0.053 0.000
O: 0.839 0.553 0.000
O: 0.847 0.569 0.500
O: 0.894 0.287 0.253
O: 0.894 0.287 0.747

Main lines, in order of rising 2θ (5° ≤ 2θ ≤ 70°):
2θ = 29.09°, d 3.070, intensity 79, hkl 1 2 1; 2θ = 30.93°, d 2.891, intensity 100, hkl 2 1 1; 2θ = 34.22°, d 2.621, intensity 23, hkl 1 3 0; 2θ = 47.22°, d 1.925, intensity 21, hkl 1 3 2; 2θ = 54.64°, d 1.680, intensity 19, hkl 4 2 0; 2θ = 55.78°, d 1.648, intensity 20, hkl 2 1 3

Entry 3:
The following is a calculated X-ray diffraction stick pattern of InCu3Au12. It was derived from a DFT-relaxed cell (PBE, Alexandria), using Cu Kα X-rays.
Lines closer than 0.1° are merged.

Cell: 4.139 4.139 16.185 Å, 90.00 90.00 90.00°
Fractional positions:
In: 0.000 0.000 0.000
Cu: 0.000 0.000 0.259
Cu: 0.000 0.000 0.500
Cu: 0.000 0.000 0.741
Au: 0.000 0.500 0.136
Au: 0.000 0.500 0.379
Au: 0.000 0.500 0.621
Au: 0.000 0.500 0.864
Au: 0.500 0.000 0.136
Au: 0.500 0.000 0.379
Au: 0.500 0.000 0.621
Au: 0.500 0.000 0.864
Au: 0.500 0.500 0.000
Au: 0.500 0.500 0.258
Au: 0.500 0.500 0.500
Au: 0.500 0.500 0.742

Main lines, in order of rising 2θ (5° ≤ 2θ ≤ 70°):
+++

What is your writing process like? 
My writing process begins before I start to write. I get to know my characters by daydreaming about them. When I begin to dream about them at night, I know they are fully formed. I usually have a vague idea of what they look like, but I must be clear about their voices in order to write. My first drafts of short stories take less than a week, then I revise for months afterward, even though my revisions are often minimal. I need time to revise and revise intermittently not continuously.

What do you think a good short story collection should deliver? 
It depends what the writer wants to achieve. I wanted News From Home to provide a perspective that was wide enough, so readers wouldn’t have a limited view of Nigeria. Also, a lot of news reports on Africa, here in the United States, appeal to the guilt and sympathy of readers. I didn’t want to write stories like that. Finally, I wrote on the cusp of humor and horror, which is how people live in Nigeria. They rely on humor to survive the difficulties they face. I hope readers will understand how extensive the Nigerian experience is.

**Crystal structures, as found in the file:**
Diffraction record for La3HfGa5O14. The XRD peak list is simulated, not measured: it uses DFT lattice parameters and positions (PBE) and a wavelength of 1.5418 Å.

Principal peaks in the range 2θ from 10° to 90°, in order of falling intensity:
| index | 2θ (°) | intensity |
| --- | --- | --- |
| 0 2 1 | 30.09 | 100 |
| 1 1 1 | 27.38 | 52 |
| 1 2 2 | 48.28 | 22 |
| 1 2 1 | 37.14 | 21 |
| 3 2 1 | 58.36 | 21 |
| 2 0 0 | 24.61 | 17 |
| 0 0 2 | 34.47 | 17 |
| 2 1 0 | 32.75 | 16 |
| 0 2 3 | 59.06 | 15 |
| 3 1 1 | 48.64 | 15 |

Atomic structure:
Cell lengths 8.3531, 8.3531, 5.2043 Å; angles 90.00, 90.00, 120.00 degrees
Element x y z (fractional)
La: 0.0000 0.5740 0.0000
La: 0.4260 0.4260 0.0000
La: 0.5740 0.0000 0.0000
Hf: 0.0000 0.0000 0.0000
Ga: 0.0000 0.2441 0.5000
Ga: 0.2441 0.0000 0.5000
Ga: 0.3333 0.6667 0.5297
Ga: 0.6667 0.3333 0.4703
Ga: 0.7559 0.7559 0.5000
O: 0.0794 0.8526 0.2425
O: 0.1474 0.2268 0.2425
O: 0.1465 0.4576 0.6984
O: 0.2268 0.1474 0.7575
O: 0.3111 0.8535 0.6984
O: 0.3333 0.6667 0.1802
O: 0.4576 0.1465 0.3016
O: 0.5424 0.6889 0.6984
O: 0.6667 0.3333 0.8198
O: 0.6889 0.5424 0.3016
O: 0.7732 0.9206 0.2425
O: 0.8526 0.0794 0.7575
O: 0.8535 0.3111 0.3016
O: 0.9206 0.7732 0.7575

***

Diffraction record for KSr2Bi3O9. The XRD peak list is simulated, not measured: it uses DFT lattice parameters and positions (PBE) and a wavelength of 1.5418 Å.

Principal peaks in the range 2θ from 10° to 90°, in order of falling intensity:
| index | 2θ (°) | intensity |
| --- | --- | --- |
| 1 1 0 | 29.16 | 100 |
| 0 1 2 | 29.02 | 100 |
| 1 0 1 | 20.46 | 78 |
| 3 0 0 | 51.64 | 64 |
| 2 0 2 | 41.61 | 59 |
| 4 1 0 | 83.48 | 23 |
| 1 1 3 | 46.70 | 21 |
| 1 0 4 | 51.36 | 20 |
| 2 1 1 | 46.88 | 19 |
| 2 2 0 | 60.45 | 19 |

Atomic structure:
Cell lengths 6.1255, 6.1255, 7.5540 Å; angles 90.00, 90.00, 120.00 degrees
Element x y z (fractional)
K: 0.0000 0.0000 0.0000
Sr: 0.3333 0.6667 0.6371
Sr: 0.6667 0.3333 0.3629
Bi: 0.0000 0.0000 0.5000
Bi: 0.3333 0.6667 0.1592
Bi: 0.6667 0.3333 0.8408
O: 0.0000 0.5000 0.0000
O: 0.1742 0.3484 0.3524
O: 0.1742 0.8258 0.3524
O: 0.3484 0.1742 0.6476
O: 0.5000 0.0000 0.0000
O: 0.5000 0.5000 0.0000
O: 0.6516 0.8258 0.3524
O: 0.8258 0.1742 0.6476
O: 0.8258 0.6516 0.6476


Entry 1:
Computed powder XRD pattern
Compound: SrMg6Cd6
Radiation: Cu Kα (λ = 1.5418 Å)
Structure: a crystal structure in Alexandria, relaxed with PBE

Main lines, sorted by position (15 to 90 degrees two-theta):
d 4.980, I 41, hkl 0 2 0; d 3.022, I 64, hkl 2 0 0; d 2.975, I 100, hkl 1 0 3; d 2.910, I 24, hkl 1 3 0; d 2.583, I 44, hkl 2 2 0; d 2.554, I 62, hkl 1 2 3; d 2.531, I 63, hkl 1 3 2; d 2.307, I 37, hkl 2 2 2; d 2.297, I 26, hkl 1 1 4; d 2.246, I 23, hkl 1 4 1; d 1.511, I 28, hkl 4 0 0; d 1.450, I 30, hkl 1 6 3

Atomic structure:
Cell: 6.0432 9.9607 10.2551 Å, 90.00 90.00 90.00°
Space group Immm (No. 71)
Symmetry-distinct sites (fractional):
Sr 0.0000 0.0000 0.0000 x2
Mg 0.0000 0.2744 0.5000 x4
Mg 0.2500 0.2500 0.2500 x8
Cd 0.0000 0.0000 0.3513 x4
**Back to the piece:**

What book made you want to become a writer?  
L’Etranger by Albert Camus. I read it when I was in boarding school in England and I read it in French, using a French-to-English dictionary. My French wasn’t very good, and even though I was Nigerian, I’d only ever studied books by English writers like Dickens and Shakespeare. I’d never studied Nigerian writers like Achebe and Soyinka. L’Etranger introduced me to a rhythm of writing that was suited to the world I came from. It was odd to have that experience as a foreign student in England and consequently the book had a huge impact on me.

What kind of research, if any, do you do? 
 I do a lot of research because my stories are based on reality. Research feeds my imagination. I run wild with it, but I’m terribly organized, perhaps because of my background as an accountant. I keep information in files, which I frequently revisit. It pains me to ignore most of my research to serve my stories. I researched the drug trade in Nigeria for my novel Swallow, only to find out I didn’t need any of it. It didn’t belong in the novel, which took a different turn because I couldn’t bear to write a formulaic novel. I was miserable, as I couldn’t share what I’d discovered in my research, but I later used some of it for “Last Trip,” a short story in News From Home. 

Misplaced crystal structures.
=====
1.
Starting from DFT lattice parameters and positions (GGA-PBE), the powder XRD pattern of RbBaCu3 was computed for λ = 1.5418 Å (Cu Kα).

Atomic structure:
a b c (Å): 6.079 6.079 6.079
angles (deg): 90.00 90.00 90.00
Space group Pm-3m (No. 221)
Inequivalent atoms, fractional coordinates:
Rb (0.000, 0.000, 0.000)
Ba (0.500, 0.500, 0.500)
Cu (0.000, 0.500, 0.500)

The 10 most intense peaks (2θ = 10–90°), in order of rising 2θ:
- 14.57 deg, rel. 38
- 20.66 deg, rel. 58
- 25.38 deg, rel. 29
- 29.39 deg, rel. 100
- 32.95 deg, rel. 21
- 36.20 deg, rel. 28
- 42.04 deg, rel. 74
- 52.12 deg, rel. 26
- 69.11 deg, rel. 32
- 76.82 deg, rel. 23

---

2.
Starting from DFT lattice parameters and positions (GGA-PBE), the powder XRD pattern of NiCS was computed for λ = 1.5418 Å (Cu Kα).

Atomic structure:
a b c (Å): 3.361 4.047 5.988
angles (deg): 101.92 96.10 91.02
Space group P1 (No. 1)
Inequivalent atoms, fractional coordinates:
Ni (0.000, 0.000, 0.000)
Ni (0.413, 0.159, 0.517)
C (0.356, 0.824, 0.239)
C (0.542, 0.725, 0.042)
S (0.196, 0.629, 0.443)
S (0.492, 0.293, 0.895)

The 10 most intense peaks (2θ = 10–90°), in order of rising 2θ:
- 22.47 deg, rel. 54
- 26.70 deg, rel. 35
- 29.30 deg, rel. 62
- 29.85 deg, rel. 34
- 30.72 deg, rel. 100
- 35.87 deg, rel. 63
- 37.10 deg, rel. 52
- 42.26 deg, rel. 43
- 51.78 deg, rel. 30
- 61.13 deg, rel. 25

---

3.
Starting from DFT lattice parameters and positions (GGA-PBE), the powder XRD pattern of Zn5Ir3 was computed for λ = 1.5418 Å (Cu Kα).

Atomic structure:
a b c (Å): 6.064 6.254 11.882
angles (deg): 90.00 90.00 90.00
Space group Fmmm (No. 69)
Inequivalent atoms, fractional coordinates:
Zn (0.000, 0.000, 0.000)
Zn (0.250, 0.250, 0.127)
Ir (0.000, 0.000, 0.249)
Ir (0.000, 0.000, 0.500)

The 10 most intense peaks (2θ = 10–90°), in order of rising 2θ:
- 28.54 deg, rel. 19
- 29.46 deg, rel. 18
- 30.08 deg, rel. 17
- 41.48 deg, rel. 100
- 41.95 deg, rel. 97
- 42.61 deg, rel. 93
- 59.08 deg, rel. 17
- 75.54 deg, rel. 33
- 76.91 deg, rel. 32
- 77.86 deg, rel. 31

---

4.
Starting from DFT lattice parameters and positions (GGA-PBE), the powder XRD pattern of Pa2SnBi2 was computed for λ = 1.5418 Å (Cu Kα).

Atomic structure:
a b c (Å): 5.2871 5.2871 12.3823
angles (deg): 90.00 90.00 120.00
Space group P6_3/mmc (No. 194)
Inequivalent atoms, fractional coordinates:
Pa (0.3333, 0.6667, 0.1322)
Sn (0.0000, 0.0000, 0.2500)
Bi (0.0000, 0.0000, 0.0000)
Bi (0.3333, 0.6667, 0.7500)

The 10 most intense peaks (2θ = 10–90°), in order of rising 2θ:
- 24.18 deg, rel. 21
- 29.13 deg, rel. 52
- 33.91 deg, rel. 100
- 34.99 deg, rel. 38
- 41.45 deg, rel. 31
- 45.30 deg, rel. 16
- 57.77 deg, rel. 16
- 60.68 deg, rel. 20
- 65.84 deg, rel. 16
- 70.50 deg, rel. 24

---

5.
Starting from DFT lattice parameters and positions (GGA-PBE), the powder XRD pattern of Mg3Zn2Cd was computed for λ = 1.5418 Å (Cu Kα).

Atomic structure:
a b c (Å): 4.976 14.908 3.133
angles (deg): 90.00 90.00 90.00
Space group Cmmm (No. 65)
=====
So much for the crystal structures.

What's the longest narrative time period you've ever contained in a short story? My title story “News From Home” takes place over several months. It is set in the United States and I use flashback to remind my narrator of the community she left in Nigeria, and to show why she quit nursing and ended up as a nanny.